Data >
Structure and computed powder diffractogram of SrAc2SiN4 (a crystal structure in Alexandria, relaxed with GGA-PBE; Cu Kα (λ = 1.5418 Å)).

Structure:
```
SrAc2SiN4
1.0
1.814 -6.537 0.000
1.814 6.537 0.000
0.000 0.000 12.621
Sr Ac Si N
2 4 2 8
direct
0.113 0.887 0.750
0.887 0.113 0.250
0.370 0.630 0.543
0.370 0.630 0.957
0.630 0.370 0.043
0.630 0.370 0.457
0.197 0.803 0.250
0.803 0.197 0.750
0.000 0.000 0.000
0.000 0.000 0.500
0.269 0.731 0.135
0.269 0.731 0.365
0.374 0.626 0.750
0.626 0.374 0.250
0.731 0.269 0.635
0.731 0.269 0.865
```

Largest 10 diffraction maxima, low angle first, 2θ from 10° to 80°:
2θ/deg	Rel. int.
14.03	87.5
25.17	100.0
25.48	35.1
27.28	71.9
29.20	97.9
30.81	32.6
32.10	37.0
35.19	84.5
38.22	36.0
44.26	47.3

Activity >
Your job: start at the top of the block further up and quote each line, ending with the one that has "29.20".

Done >
Structure and computed powder diffractogram of SrAc2SiN4 (a crystal structure in Alexandria, relaxed with GGA-PBE; Cu Kα (λ = 1.5418 Å)).

Structure:
```
SrAc2SiN4
1.0
1.814 -6.537 0.000
1.814 6.537 0.000
0.000 0.000 12.621
Sr Ac Si N
2 4 2 8
direct
0.113 0.887 0.750
0.887 0.113 0.250
0.370 0.630 0.543
0.370 0.630 0.957
0.630 0.370 0.043
0.630 0.370 0.457
0.197 0.803 0.250
0.803 0.197 0.750
0.000 0.000 0.000
0.000 0.000 0.500
0.269 0.731 0.135
0.269 0.731 0.365
0.374 0.626 0.750
0.626 0.374 0.250
0.731 0.269 0.635
0.731 0.269 0.865
```

Largest 10 diffraction maxima, low angle first, 2θ from 10° to 80°:
2θ/deg	Rel. int.
14.03	87.5
25.17	100.0
25.48	35.1
27.28	71.9
29.20	97.9